== Source ==
-- begin --
1.
# USi3Pd3

Crystalline USi3Pd3 at its relaxed geometry (PBE, Alexandria).

Properties
ΔE to the lowest computed polymorph, kJ/mol of atoms: 22.4
Total moment, μB/atom: 0.441
Space group: Pm-3n, No. 223

Unit cell a=6.5587 b=6.5587 c=6.5587 alpha=90.00 beta=90.00 gamma=90.00
Atoms (fractional coordinates):
1 Si 0.0000 0.2500 0.5000
2 Si 0.0000 0.7500 0.5000
3 Si 0.5000 0.0000 0.7500
4 Si 0.7500 0.5000 0.0000
5 Si 0.5000 0.0000 0.2500
6 Si 0.2500 0.5000 0.0000
7 U 0.5000 0.5000 0.5000
8 U 0.0000 0.0000 0.0000
9 Pd 0.2500 0.0000 0.5000
10 Pd 0.0000 0.5000 0.2500
11 Pd 0.5000 0.7500 0.0000
12 Pd 0.7500 0.0000 0.5000
13 Pd 0.0000 0.5000 0.7500
14 Pd 0.5000 0.2500 0.0000

=====

2.
# KSeNF2

Crystalline KSeNF2 at its relaxed geometry (PBE, Alexandria).

Properties
ΔE to the lowest computed polymorph, kJ/mol of atoms: 125.6
Total moment, μB/atom: 1.201
Space group: P4/mmm, No. 123

Unit cell a=5.0446 b=5.0446 c=5.1655 alpha=90.00 beta=90.00 gamma=90.00
Atoms (fractional coordinates):
1 K 0.0000 0.0000 0.0000
2 N 0.0000 0.0000 0.5000
3 Se 0.5000 0.5000 0.5000
4 F 0.0000 0.5000 0.0000
5 F 0.5000 0.0000 0.0000
-- stop --

== Activity ==
Give back the rows above from the line with "=====" to the end with every line break kept, please.

== Here it is ==
=====

2.
# KSeNF2

Crystalline KSeNF2 at its relaxed geometry (PBE, Alexandria).

Properties
ΔE to the lowest computed polymorph, kJ/mol of atoms: 125.6
Total moment, μB/atom: 1.201
Space group: P4/mmm, No. 123

Unit cell a=5.0446 b=5.0446 c=5.1655 alpha=90.00 beta=90.00 gamma=90.00
Atoms (fractional coordinates):
1 K 0.0000 0.0000 0.0000
2 N 0.0000 0.0000 0.5000
3 Se 0.5000 0.5000 0.5000
4 F 0.0000 0.5000 0.0000
5 F 0.5000 0.0000 0.0000